**Exercise**
Type out the part of the block further down that starts with the line with "-0.74067 -1.44913" and stops after the one with "1.09039 -1.54976".
**Excerpt**
-- begin --
ORCA calculation (ωB97M-V/def2-TZVPD) on a structure of composition C36H35AsBrN4O6Sc.

Values from the calculation:
HOMO: -7.3 eV
Kohn-Sham gap: 7.011 eV
E_LUMO: -0.2564 eV
calculated total energy: -207733.4839 eV
spin multiplicity: 1

```
84
C36H35AsBrN4O6Sc (ωB97M-V/def2-TZVPD)
Sc -0.60840 0.08286 0.30824
C 3.10168 0.84185 1.85770
C 2.85657 0.28916 0.50020
N 1.69277 -0.04977 -0.01242
C 1.91969 -0.47751 -1.30472
C 3.24643 -0.39586 -1.58153
N 3.82796 0.06766 -0.41174
C 4.03613 -0.67367 -2.80951
O 5.18512 -1.37086 -2.58184
O 3.74301 -0.30267 -3.89893
C 0.72736 -0.88213 -2.12763
O 0.81695 -1.61892 -3.07474
O -0.36031 -0.34030 -1.64011
H 2.43871 1.68988 2.02948
H 4.13430 1.17260 1.96381
H 2.88955 0.09206 2.61908
H 4.79329 0.33179 -0.29688
H 5.12652 -1.84068 -1.73999
Br -5.42324 5.89102 0.83488
C -3.64675 5.35521 1.17727
C -2.76055 6.24800 1.76975
N -1.49673 5.94074 2.03964
C -1.07679 4.71809 1.72844
C -1.89519 3.76659 1.13583
C -3.21577 4.08814 0.84817
C -1.39281 2.40843 0.81944
O -0.21277 2.04876 1.13597
O -2.15427 1.58266 0.23832
H -3.09405 7.24586 2.03171
H -0.04631 4.47089 1.95310
H -3.86278 3.35680 0.38191
C -1.81053 -8.36520 3.05715
C -1.82443 -6.98487 2.46065
C -0.65544 -6.37013 2.03504
C -0.66200 -5.09522 1.48651
C 0.64151 -4.49769 1.02155
C -1.87282 -4.38744 1.39245
As -1.66615 -2.64192 0.52051
N -0.74067 -1.44913 1.66348
C -0.29464 -1.55071 2.97352
C -0.39952 -2.67951 3.79912
C 0.09979 -2.66876 5.09533
C 0.70891 -1.54585 5.63110
C 0.79327 -0.40643 4.84007
C 0.30062 -0.40741 3.54746
C -3.33413 -1.61008 0.52412
C -3.85810 -1.28477 -0.73819
C -3.39458 -1.91415 -2.03051
C -4.87265 -0.32958 -0.83031
C -5.39358 0.29223 0.28681
C -6.47229 1.33513 0.17537
C -4.89466 -0.07095 1.53491
C -3.87454 -0.99541 1.67714
C -3.38042 -1.28977 3.06709
C -3.07584 -5.01732 1.74772
C -4.44496 -4.41424 1.55442
C -3.01812 -6.29974 2.28855
H -0.79773 -8.76330 3.11052
H -2.41299 -9.05406 2.46192
H -2.22469 -8.35993 4.06706
H 0.28842 -6.89745 2.12274
H 1.45302 -5.21238 1.15556
H 0.89328 -3.59319 1.58020
H 0.60051 -4.22585 -0.03563
H -0.88442 -3.57467 3.44268
H 0.00079 -3.56470 5.69718
H 1.09039 -1.54976 6.64367
H 1.23481 0.50206 5.23469
H 0.35133 0.51012 2.97198
H -2.75243 -2.77876 -1.88770
H -2.82708 -1.19849 -2.62741
H -4.26028 -2.23078 -2.61383
H -5.26063 -0.07751 -1.81205
H -6.74051 1.51932 -0.86459
H -6.14414 2.28198 0.61240
H -7.37452 1.03206 0.70994
H -5.31103 0.39182 2.42547
H -4.20603 -1.22354 3.77788
H -2.61629 -0.57628 3.37907
H -2.93092 -2.27734 3.15285
H -4.54488 -3.89191 0.60670
H -4.68684 -3.69820 2.34032
H -5.19799 -5.20172 1.58588
H -3.94820 -6.78287 2.57159
```

Atomic partial charges in e from the Mulliken method, atoms 1 to 5: -0.0536 -1.0406 0.1682 0.2458 0.4633

=====

No. 1
Formula: CHN3O
Source: the Open Molecules 2025 dataset
Level of theory: ωB97M-V/def2-TZVPD

charge	0
Kohn-Sham gap	10.81	eV
SMILES string	N#CO.N#N
E_LUMO	-0.00137	Ha
ΔE to the lowest compared entry with this formula, charge and spin	38.08	kcal/mol
max |F|	0.0740	hartree/bohr

CARTESIAN COORDINATES (ANGSTROEM)
O: 0.21712 0.87496 0.19408
N: -2.04580 1.67865 -0.08732
N: 1.61353 -2.13118 -0.07933
C: -1.01489 1.19993 0.04624
H: 0.39554 -0.17191 0.28786
N: 0.83450 -1.45044 -0.36153

---

No. 2
Formula: C21H16I2N2O4RuS4Sb
Source: the Open Molecules 2025 dataset
Level of theory: ωB97M-V/def2-TZVPD

charge	-1
Kohn-Sham gap (spin up / spin down)	5.44 / 5.44	eV
E_LUMO (spin up / spin down)	0.01941 / 0.01914	Ha
ΔE to the lowest compared entry with this formula, charge and spin	0.00	kcal/mol
max |F|	0.0111	hartree/bohr

CARTESIAN COORDINATES (ANGSTROEM)
H: -3.78509 2.51133 -5.09876
C: 3.07951 0.11543 1.31340
H: -1.34753 -1.76432 5.45661
Sb: -1.37837 2.76550 2.38492
H: 3.87793 1.11229 -2.64334
H: 3.93454 -0.49860 3.95438
H: 0.27202 -0.35334 4.23441
C: 4.31524 0.44356 3.53052
C: 4.28264 0.39513 2.02568
H: 2.13189 -0.85544 2.98984
O: -0.00637 -1.18139 -2.96830
C: -1.99447 -0.02025 -6.48453
N: 0.72804 -0.42474 1.58602
O: -0.45255 0.84406 -2.09243
S: 0.32980 2.10736 3.76379
-- stop --
**Here it is**
N -0.74067 -1.44913 1.66348
C -0.29464 -1.55071 2.97352
C -0.39952 -2.67951 3.79912
C 0.09979 -2.66876 5.09533
C 0.70891 -1.54585 5.63110
C 0.79327 -0.40643 4.84007
C 0.30062 -0.40741 3.54746
C -3.33413 -1.61008 0.52412
C -3.85810 -1.28477 -0.73819
C -3.39458 -1.91415 -2.03051
C -4.87265 -0.32958 -0.83031
C -5.39358 0.29223 0.28681
C -6.47229 1.33513 0.17537
C -4.89466 -0.07095 1.53491
C -3.87454 -0.99541 1.67714
C -3.38042 -1.28977 3.06709
C -3.07584 -5.01732 1.74772
C -4.44496 -4.41424 1.55442
C -3.01812 -6.29974 2.28855
H -0.79773 -8.76330 3.11052
H -2.41299 -9.05406 2.46192
H -2.22469 -8.35993 4.06706
H 0.28842 -6.89745 2.12274
H 1.45302 -5.21238 1.15556
H 0.89328 -3.59319 1.58020
H 0.60051 -4.22585 -0.03563
H -0.88442 -3.57467 3.44268
H 0.00079 -3.56470 5.69718
H 1.09039 -1.54976 6.64367